-- Contents --
--- a ---
# BaTmSb2 | Alexandria via LeMat-Bulk | PBE | relaxed
data_BaTmSb2
_cell_length_a 4.6645
_cell_length_b 4.6645
_cell_length_c 22.8569
_cell_angle_alpha 90.00
_cell_angle_beta 90.00
_cell_angle_gamma 120.00
_symmetry_space_group_name_H-M 'R -3 m'
_symmetry_Int_Tables_number 166
_symmetry_space_group_name_Hall '-R 3 2"'
loop_
_atom_site_label
_atom_site_fract_x
_atom_site_fract_y
_atom_site_fract_z
Ba1 0.0000 0.0000 0.0000
Tm1 0.0000 0.0000 0.5000
Sb1 0.0000 0.0000 0.2339
# Total magnetic moment ... 0.00 μB per atom



--- b ---
# BaTmSb2 | Alexandria via LeMat-Bulk | PBE | relaxed
data_BaTmSb2
_cell_length_a 4.5041
_cell_length_b 4.5041
_cell_length_c 24.5310
_cell_angle_alpha 90.00
_cell_angle_beta 90.00
_cell_angle_gamma 120.00
_symmetry_space_group_name_H-M 'R 3 m'
_symmetry_Int_Tables_number 160
_symmetry_space_group_name_Hall 'R 3 -2"'
loop_
_atom_site_label
_atom_site_fract_x
_atom_site_fract_y
_atom_site_fract_z
Ba1 0.0000 0.0000 0.0000
Tm1 0.0000 0.0000 0.8288
Sb1 0.0000 0.0000 0.2330
Sb2 0.0000 0.0000 0.4283
# Total magnetic moment ... 0.00 μB per atom



Q: Which of them is the most stable? A: a.

-- Wanted --
Search the notes above for the word "of" and print each line that has it.

-- Written answer --
Q: Which of them is the most stable? A: a.